Christian Assembly
Our History
In 1993, Full Life Christian Assembly was born through a couple's vision to reach out to the Filipino-American community of Oxnard, CA. The late Rev. Rolando "Rolly" J. Dinglas and his wife, Rev. Purisima Dinglas, pioneered the church, along with their five children. They came to Oxnard from a 27-year long pastoral ministries in Bataan, Philippines.
The first services were held in people's homes (including the pastor's), Casa Sirena Hotel, and a former warehouse in Pacific Avenue. After years of moving around, FLCA finally found a more permanent address by renting at Oxnard Bible Church on Wolff Street. After 10 years in 2009, the Lord opened a door for FLCA to rent its own facility. The church now holds its services on 138 Hill Street, Oxnard, CA.
In April 2012, Rev. Purisima Dinglas retired from being lead pastor after 19 years of service. She served twelve of those years as senior pastor after Pastor Rolly died of leukemia in 2000. She passed the leadership to former associate pastor, Robert Paul B. Vicente. FLCA has experienced God's faithful guidance and provision through every season. Our story continues as the Lord enables His church to keep moving forward. It is by His grace that FLCA began its roots and it will be by His grace that it will continue to grow.
Today, it is attended by multi-ethnic groups, with the majority of Filipinos, from a wide range of ages, interest, professions, struggles, and stories. FLCA has a ministry for each of these groups. For more information regarding the various ministries, please visit the Ministries page of our website.
Full Life Christian Assembly (FLCA) is affiliated with the Assemblies of God. We invite you to explore our website and please free to contact us if you have any questions, or if you simply need prayer.
What We Believe
## Here the entry breaks off for calculated crystals
+++
(1)
This entry pairs a crystal structure of Mg8ZnIn5 with its theoretical XRD peak list. Radiation: Cu Kα X-rays. Structure: a DFT-relaxed cell (PBE, Alexandria).
Lines closer than 0.1° are merged.

a b c (Å): 8.5076 8.5076 9.1691
angles (deg): 90.00 90.00 90.00
Space group I-4 (No. 82)
Unique sites:
Mg 0.0749 0.3083 0.4038 x8
Mg 0.0756 0.1673 0.7429 x8
Zn 0.0000 0.0000 0.5000 x2
In 0.0000 0.5000 0.7500 x2
In 0.1090 0.2293 0.0679 x8

Top 10 peaks for 2θ = 5–70°, by intensity:
25.34 deg, intensity 100
33.30 deg, intensity 64
37.75 deg, intensity 62
31.09 deg, intensity 42
24.41 deg, intensity 39
33.06 deg, intensity 39
39.43 deg, intensity 35
38.81 deg, intensity 33
14.20 deg, intensity 24
47.81 deg, intensity 23



(2)
This entry pairs a crystal structure of Mg5ZnIn6 with its theoretical XRD peak list. Radiation: Cu Kα X-rays. Structure: a DFT-relaxed cell (PBE, Alexandria).
Lines closer than 0.1° are merged.

a b c (Å): 14.3238 8.7371 4.6561
angles (deg): 90.00 108.88 90.00
Space group C2/m (No. 12)
Unique sites:
Mg 0.0000 0.0000 0.0000 x2
Mg 0.1576 0.5000 0.6589 x4
Mg 0.1698 0.0000 0.6683 x4
Zn 0.0000 0.5000 0.0000 x2
In 0.0000 0.2460 0.5000 x4
In 0.1654 0.2506 0.1659 x8

Top 10 peaks for 2θ = 5–70°, by intensity:
34.45 deg, intensity 100
20.33 deg, intensity 29
27.51 deg, intensity 28
38.68 deg, intensity 18
39.91 deg, intensity 16
41.33 deg, intensity 15
68.98 deg, intensity 12
56.79 deg, intensity 11
57.89 deg, intensity 11
50.37 deg, intensity 10



(3)
This entry pairs a crystal structure of Mg8Zn3In3 with its theoretical XRD peak list. Radiation: Cu Kα X-rays. Structure: a DFT-relaxed cell (PBE, Alexandria).
Lines closer than 0.1° are merged.

a b c (Å): 12.6367 11.0880 4.5685
angles (deg): 90.00 103.39 90.00
Space group C2/m (No. 12)
Unique sites:
Mg 0.1220 0.1353 0.1015 x8
Mg 0.1405 0.3071 0.6113 x8
Zn 0.0000 0.3638 0.0000 x4
Zn 0.0000 0.5000 0.5000 x2
In 0.0000 0.0000 0.5000 x2
In 0.2217 0.5000 0.2100 x4

Top 10 peaks for 2θ = 5–70°, by intensity:
15.99 deg, intensity 100
33.35 deg, intensity 92
21.19 deg, intensity 78
31.84 deg, intensity 62
39.81 deg, intensity 62
33.99 deg, intensity 55
31.24 deg, intensity 50
38.38 deg, intensity 43
35.35 deg, intensity 43
35.68 deg, intensity 34



(4)
This entry pairs a crystal structure of Mg2ZrIn5 with its theoretical XRD peak list. Radiation: Cu Kα X-rays. Structure: a DFT-relaxed cell (PBE, Alexandria).
Lines closer than 0.1° are merged.

a b c (Å): 7.7046 7.7046 6.3696
angles (deg): 90.00 90.00 90.00
Space group I4/mmm (No. 139)
Unique sites:
Mg 0.0000 0.5000 0.0000 x4
Zr 0.0000 0.0000 0.0000 x2
In 0.0000 0.0000 0.5000 x2
In 0.2500 0.2500 0.2500 x8

Top 10 peaks for 2θ = 5–70°, by intensity:
36.61 deg, intensity 100
32.88 deg, intensity 67
61.16 deg, intensity 43
47.19 deg, intensity 24
16.27 deg, intensity 18
68.22 deg, intensity 15
23.09 deg, intensity 13
68.95 deg, intensity 7
32.57 deg, intensity 7
57.91 deg, intensity 6



(5)
+++
## The calculated crystals stop here
Fundamental Truths
Our Vision
Loving God, Growing Together, Fearlessly Reaching All
Core Values
Family Oriented, Selfless Giving,
Christ Centered, Prayer Dependent, Spirit Empowered, Purposeful Service,
Deeply Rooted, Mission Driven
Our Mission
The text is interrupted by calculated crystals:
-- begin --
NpBeH4: simulated XRD peak list (Cu Kα (weighted mean of Kα1 and Kα2)), based on a cell relaxed with GGA-PBE.
Kinematic intensities with the Lorentz-polarization factor, no thermal factor.

Cell and atoms:
```
data_NpBeH4
_symmetry_space_group_name_H-M 'P m n 21'
_symmetry_Int_Tables_number 31
_cell_length_a 6.1451
_cell_length_b 3.8576
_cell_length_c 4.4755
_cell_angle_alpha 90.00
_cell_angle_beta 90.00
_cell_angle_gamma 90.00
loop_
_symmetry_equiv_pos_as_xyz
'x,y,z'
'-x+1/2,-y,z+1/2'
'-x,y,z'
'x+1/2,-y,z+1/2'
loop_
_atom_site_label
_atom_site_fract_x
_atom_site_fract_y
_atom_site_fract_z
Np1 0.0000 0.2444 0.0000
Be1 0.0000 0.7894 0.5277
H1 0.0000 0.1752 0.5049
H2 0.0000 0.7342 0.2176
H3 0.1740 0.7251 0.7494
```

Main lines, in order of rising 2θ (2θ = 10–80°):
- (1 0 1), 24.6°, intensity 100
- (1 1 0), 27.3°, intensity 78
- (2 0 0), 29.1°, intensity 38
- (0 1 1), 30.6°, intensity 65
- (2 1 1), 42.7°, intensity 54
- (1 1 2), 49.4°, intensity 34

***

NpBeZnH6: simulated XRD peak list (Cu Kα (weighted mean of Kα1 and Kα2)), based on a cell relaxed with GGA-PBE.
Kinematic intensities with the Lorentz-polarization factor, no thermal factor.

Cell and atoms:
```
data_NpBeZnH6
_symmetry_space_group_name_H-M 'P -6 m 2'
_symmetry_Int_Tables_number 187
_symmetry_space_group_name_Hall 'P -6 2'
_cell_length_a 4.2016
_cell_length_b 4.2016
_cell_length_c 4.4169
_cell_angle_alpha 90.00
_cell_angle_beta 90.00
_cell_angle_gamma 120.00
loop_
_atom_site_label
_atom_site_fract_x
_atom_site_fract_y
_atom_site_fract_z
Np1 0.0000 0.0000 0.0000
Be1 0.3333 0.6667 0.5000
Zn1 0.6667 0.3333 0.5000
H1 0.0262 0.5131 0.2165
```

Main lines, in order of rising 2θ (2θ = 10–80°):
- (1 0 0), 24.5°, intensity 49
- (1 0 1), 31.9°, intensity 100
- (1 1 0), 43.1°, intensity 27
- (2 0 1), 54.6°, intensity 23
- (1 1 2), 60.9°, intensity 20
- (2 1 1), 71.9°, intensity 20

***

BeHO2: simulated XRD peak list (Cu Kα (weighted mean of Kα1 and Kα2)), based on a cell relaxed with GGA-PBE.
Kinematic intensities with the Lorentz-polarization factor, no thermal factor.

Cell and atoms:
```
data_BeHO2
_symmetry_space_group_name_H-M 'I -4 2 d'
_symmetry_Int_Tables_number 122
_symmetry_space_group_name_Hall 'I -4 2bw'
_cell_length_a 3.6847
_cell_length_b 3.6847
_cell_length_c 7.5675
_cell_angle_alpha 90.00
_cell_angle_beta 90.00
_cell_angle_gamma 90.00
loop_
_atom_site_label
_atom_site_fract_x
_atom_site_fract_y
_atom_site_fract_z
Be1 0.0000 0.0000 0.0000
H1 0.0000 0.0000 0.5000
O1 0.2447 0.2500 0.6250
```

Main lines, in order of rising 2θ (2θ = 10–80°):
- (1 0 1), 26.9°, intensity 3
- (1 1 2), 42.1°, intensity 100
- (0 0 4), 48.1°, intensity 9
- (2 0 0), 49.5°, intensity 15
- (2 0 4), 71.5°, intensity 19
- (2 2 0), 72.6°, intensity 9

***

Be2H6O: simulated XRD peak list (Cu Kα (weighted mean of Kα1 and Kα2)), based on a cell relaxed with GGA-PBE.
Kinematic intensities with the Lorentz-polarization factor, no thermal factor.

Cell and atoms:
```
data_Be2H6O
-- stop --
FULL LIFE is committed and dedicated to give God the glory through faithful fellowship and true worship (John 4:23-24), determined to use the Word for equipping and discipleship of believers (Matthew 28:19-20), committed to be part of mission and evangelism by means of giving, praying, and going (Mark 16:15-17), and building up the body of Christ by edifying one another until we reach the Fullness of the Life of Christ (Ephesians 4:12)."
Pastor Paul has been the lead pastor at FLCA in Oxnard since April 2012. He is married to Stephanie, and has two lovely kids - Audrey and Joseph.

Robert Paul B. Vicente
Lead Pastor